From Troy to Montlake: How current Seahawks coaches helped get Will Harris into coaching
SEATTLE -- Will Harris has been on the UW campus for less than ten months, but he’s very familiar with what goes down on Montlake come game day.
“This place is special," Huskies assistant defensive backs coach Will Harris said. "I say that every single time and just to be apart of it is a blessing.”
The Washington assistant defensive backs coach, played on this same field three times over the course of his college career with Pete Carroll's Trojans from 2005 to 2009.
“Will is a great spirit," former USC and current Seahawks head coach Pete Carroll said. "He was very tough, physical player but more than anything he just had a great light about him. He was always upbeat, always energetic. He was banged up some when he was with us but I loved having him on our team and I had no question that he would be an effective coach.”
But for Harris, he hadn’t considered coaching until he personally felt the impact of the then linebackers coach, Ken Norton jr.
“I got hurt in college and it was just one of those things," Harris said. "I was in the training room and coach Norton used to come in there everyday and say ‘Hey will how you doing man.' I used to tell him everything was okay, but it wasn’t. And then one day we went out to dinner and kind just broke down and he was kind of just a mentor for me then out and then once i got my next opportunity to start. It was just awesome kind of like we had one of those special moments where we gave each other a hug and we were like okay here it is we finally got out of that little slump so it was special.”
That interaction left a lasting impression on Harris. So when his own professional playing career ended and an opportunity for training kids came up, he took it.
“Snoop Dogg gave me a call and I started training his son," Harris said. "Then next thing you know I walked into this coaching deal and I love it. Not do I love it cause obviously game day and things like that, which is awesome, but just seeing young men develop and I kind of think the special part about it is just seeing the young men develop.”
It’s the same philosophy Harris felt nearly a decade ago at USC.
“There were so many different things that a coach can be to a player that I felt like I was able to get as a player of course so I wanted to extend that to the players that I coached," former USC linebackers coach and current Seahawks defensive coordinator Ken Norton Jr. said. "There was so much ball and so much life, so much success and failures I learned as a player and I felt like coaching would be a way for me to give back to the players and let them know you know exactly what to look for, to understand all the knowledge I’ve been able to gather and to give back to them.”
### Between two parts of the page: quantum chemistry results
# C24H36FIN3O6

2 unconnected molecules or ions with the total composition C24H36FIN3O6 (ωB97M-V with the def2-TZVPD basis set, OMol25).

Structure (XYZ):
```
71
Properties=species:S:1:pos:R:3:forces:R:3:lowdin_charge:R:1
C 3.932 4.929 0.176 -0.122 0.114 -0.073 -0.104
C 3.104 6.145 -0.219 -0.518 -0.468 0.122 -0.248
C 1.859 5.754 -1.045 0.678 0.329 0.732 -0.210
C 0.702 5.388 -0.123 -0.245 0.248 -0.375 -0.219
C -0.523 4.817 -0.855 0.110 -0.391 0.092 -0.169
C -0.974 3.398 -0.450 0.004 0.503 -0.028 -0.161
C -1.053 3.151 1.066 0.081 -0.452 -0.096 -0.092
C -0.631 1.783 1.574 0.252 -0.328 0.080 -0.037
C -1.499 1.085 2.426 0.102 -0.640 -0.315 -0.090
C -2.793 1.735 2.835 0.077 0.134 0.256 -0.618
O -2.796 2.400 3.818 -0.091 0.213 0.412 0.179
O -3.896 1.496 2.123 -0.056 0.193 -0.368 0.152
C -1.192 -0.171 2.970 0.197 0.408 -0.215 -0.504
I -2.540 -1.041 4.310 0.258 -0.092 -0.198 1.184
C 0.033 -0.761 2.643 -0.184 -0.315 0.349 -0.170
C 0.493 -2.101 3.123 0.180 0.004 -0.219 -0.124
C 0.264 -3.250 2.116 -0.071 0.088 -0.012 -0.160
C -1.175 -3.525 1.703 0.310 0.363 -0.024 -0.179
C -1.288 -4.468 0.505 0.027 0.389 0.641 -0.244
O -1.037 -5.797 0.874 -0.069 -0.050 -0.175 -0.155
C 0.250 -6.283 0.570 0.076 -0.160 0.092 -0.096
N 0.855 -0.039 1.847 -0.764 0.261 0.156 0.076
O 2.079 -0.628 1.497 -0.362 -0.349 0.040 0.090
C 3.021 -0.280 2.349 -0.637 0.212 -1.133 -0.274
N 3.891 0.212 2.896 0.969 0.185 1.020 0.258
C 0.602 1.184 1.309 0.009 0.480 0.011 -0.052
C 1.706 1.776 0.485 -0.193 -0.375 -0.224 0.017
C 1.908 1.047 -0.823 -0.177 0.110 0.403 -0.465
O 2.882 1.044 -1.460 0.862 0.032 -0.636 0.231
F 0.816 0.366 -1.205 -0.497 -0.235 -0.053 0.124
H 4.186 4.319 -0.687 0.195 -0.008 -0.165 0.075
H 3.370 4.292 0.857 -0.066 -0.083 0.179 0.050
H 4.839 5.225 0.690 0.202 -0.059 0.061 0.075
H 2.745 6.603 0.702 0.073 0.343 0.070 0.105
H 3.700 6.886 -0.738 0.175 0.017 -0.148 0.106
H 2.134 4.919 -1.688 -0.146 -0.052 -0.329 0.109
H 1.585 6.618 -1.639 -0.235 -0.079 -0.404 0.115
H 0.396 6.302 0.378 0.033 0.104 0.244 0.120
H 1.074 4.740 0.669 -0.008 -0.204 0.105 0.080
H -0.296 4.773 -1.917 -0.052 0.042 -0.180 0.113
H -1.373 5.484 -0.766 -0.098 0.182 0.137 0.114
H -0.367 2.673 -0.974 0.272 -0.330 0.047 0.093
H -1.977 3.266 -0.844 -0.112 -0.173 -0.186 0.116
H -0.525 3.896 1.657 0.174 0.152 -0.061 0.137
H -2.097 3.264 1.335 -0.104 0.227 0.216 0.112
H -3.703 1.319 1.191 -0.027 -0.326 0.069 0.141
H 1.562 -2.078 3.306 0.160 0.139 0.180 0.115
H 0.028 -2.279 4.084 -0.235 -0.175 0.079 0.085
H 0.845 -3.042 1.217 0.158 0.044 -0.065 0.118
H 0.710 -4.124 2.579 0.051 -0.241 0.008 0.119
H -1.730 -3.916 2.548 -0.242 -0.143 0.091 0.111
H -1.634 -2.574 1.420 -0.197 0.098 -0.067 0.099
H -2.294 -4.378 0.109 -0.172 -0.327 -0.151 0.118
H -0.597 -4.124 -0.268 0.091 -0.099 -0.236 0.110
H 0.976 -6.055 1.353 0.088 0.158 0.104 0.075
H 0.619 -5.896 -0.378 -0.003 0.096 -0.185 0.089
H 0.195 -7.362 0.496 -0.122 -0.160 -0.034 0.092
H 1.511 2.809 0.235 -0.163 0.271 0.088 0.109
H 2.672 1.744 0.977 0.072 0.131 0.265 0.132
That passed down, shared belief is what brought Harris to Chris Petersen and Montlake.
**Next to the piece, the page also holds quantum chemistry results**
=====
The following is a quantum chemistry calculation of a structure of composition C10H23ClN3O2Zr, from the OMol25 dataset.

Values from the calculation:
Net charge: +3

Geometry (Å):
Zr: 1.233 1.052 -3.893
Cl: 0.047 0.472 -2.401
C: -1.562 -2.645 -3.137
O: -1.135 -3.784 -3.472
N: -2.771 -2.196 -3.221
N: -0.834 -1.696 -2.591
H: -2.768 -1.186 -3.227
H: -3.459 -2.855 -3.555
H: 0.118 -1.842 -2.286
H: -1.103 -0.734 -2.440
C: -1.615 -1.197 0.175
C: -0.725 -0.232 1.060
C: 0.263 -1.204 1.756
C: 1.446 -0.516 2.385
C: 2.296 0.281 1.338
C: 1.336 1.328 0.627
N: 0.053 0.780 0.219
O: -0.604 1.655 -0.551
C: 1.084 2.533 1.578
C: 2.140 1.800 -0.551
C: -1.561 0.643 2.063
H: -2.137 -0.610 -0.580
H: -1.116 -1.977 -0.401
H: -2.352 -1.697 0.804
H: -0.232 -1.806 2.518
H: 0.683 -1.828 0.967
H: 1.188 0.143 3.213
H: 1.944 -1.378 2.829
H: 2.801 -0.408 0.662
H: 3.124 0.850 1.761
H: 0.359 3.200 1.110
H: 1.932 3.078 1.992
H: 0.591 2.256 2.510
H: 1.722 2.665 -1.066
H: 2.268 1.066 -1.346
H: 3.195 2.020 -0.388
H: -2.626 0.495 1.887
H: -1.459 0.327 3.101
H: -1.411 1.721 1.999
H: -0.352 1.427 -1.448

Löwdin charges in e: number 1, Zr, carries 1.58; number 2, Cl, carries 0.73; number 3, C, carries -0.68; number 4, O, carries 0.10; number 5, N, carries 0.22; number 6, N, carries -0.01; number 7, H, carries 0.12; number 8, H, carries 0.16; number 9, H, carries 0.10; number 10, H, carries -0.09; number 11, C, carries 0.01; number 12, C, carries -0.34; number 13, C, carries -0.12; number 14, C, carries -0.14; number 15, C, carries -0.06; number 16, C, carries -0.43; number 17, N, carries 0.03; number 18, O, carries 0.02; number 19, C, carries 0.05; number 20, C, carries -0.06; number 21, C, carries 0.05; number 22, H, carries 0.07; number 23, H, carries 0.08; number 24, H, carries 0.13; number 25, H, carries 0.16; number 26, H, carries 0.13; number 27, H, carries 0.12; number 28, H, carries 0.14; number 29, H, carries 0.13; number 30, H, carries 0.14; number 31, H, carries 0.11; number 32, H, carries 0.13; number 33, H, carries 0.10; number 34, H, carries 0.10; number 35, H, carries 0.01; number 36, H, carries 0.13; number 37, H, carries 0.11; number 38, H, carries 0.12; number 39, H, carries 0.09; number 40, H, carries -0.21

=====

The following is a quantum chemistry calculation of a structure of composition C10H23IrN6O2S, from the OMol25 dataset.

Values from the calculation:
Net charge: +2

Geometry (Å):
Ir: -1.932 0.260 -0.265
N: -1.245 -1.320 -1.526
C: 0.217 -1.454 -1.291
C: 0.804 -2.809 -1.661
C: 0.280 -3.974 -0.801
C: 1.381 -4.944 -0.382
N: 2.323 -4.251 0.493
C: 3.423 -4.793 0.995
N: 3.725 -6.066 0.751
N: 4.237 -4.048 1.746
C: 0.516 -1.069 0.158
O: 1.472 -1.497 0.762
O: -0.307 -0.187 0.698
H: -1.724 -2.185 -1.283
H: -1.420 -1.166 -2.516
H: 0.695 -0.674 -1.891
H: 1.887 -2.717 -1.558
H: 0.622 -2.999 -2.719
H: -0.474 -4.546 -1.341
H: -0.202 -3.609 0.112
H: 1.900 -5.323 -1.267
H: 0.931 -5.786 0.149
H: 2.139 -3.268 0.688
H: 3.104 -6.658 0.228
H: 4.546 -6.495 1.143
=====
**The quantum chemistry results stop here**
“They are players coaches and I think they both do a really good job," Harris said. "As far as coach Pete is a competitive dude and I think coach Petersen is as well. Kinda similar so for me to play for him and work for coach Petersen is awesome. It’s actually a blessing like I thank god everyday cause I’m like man I’m in a great spot.”